Pairing: Implied N/Touya
Warnings: Slash, plus very minor cursing.
Spoilers: Extremely minor spoilers for Mistralton City.
Disclaimer: I don't own Pokemon.
The Toll of Thought
It was raining, and normally N wouldn't have minded except for the fact that it was summer. The rain was hot and sticky instead of being cool and refreshing, causing his clothes to cling unpleasantly to his skin. Tired of standing, he slid down the gym's front wall and sunk to the concrete, puddles be damned. After a rain drop somehow managed to slip across the brim of his hat and drip directly into his eye, he began to seriously rethink his plan.
Up until now he'd been extremely successful in intercepting Touya in a timely manner, inferring the other boy's destination and planning accordingly. He often took shortcuts, yet still usually arrived just mere minutes before Touya did so as to avoid the situation he was in now. His path was a line set to intersect with Touya's as much as possible.
The thought made N smile, though the gesture confused him more than anything - he didn't just randomly smile, so doing it for no apparent reason warranted further investigation.
Never an expert on dealing with his emotions or the strangely perplexing human things he was wont to do, N preferred to trace an emotion back to its cause and tackle it that way.
So. He'd been thinking about Touya. And then he'd smiled.
... This time, identifying the cause wasn't helping.
Just when he was about to analyze this further, the sound of rain droplets softly pattering to the concrete was pierced by a low, deep chime. For six seconds, time seemed to stop as the ancient bell rung, sounding twice before fading away.
N blinked, attempting to place the bell's chime. He was certain he'd never heard it before, yet he had the strangest feeling that he had. He tried running the bell's frequency through his mind, but came up frustratingly short. To make things more aggravating, his brain seemed to want to associate the chime with Touya.
Then again, considering the fact that nowadays his brain seemed to loop back to Touya at most nearly every opportunity it got, he had to admit that he wasn't actually that surprised.
[Next to the text, the page also holds materials data]
'''
<w>
A plane-wave DFT calculation with PBE was carried out for a relaxed KInRh3 crystal.

Cell and atoms, written as extended XYZ:
```
5
Lattice="-3.511 0.570 3.557 -3.599 -0.782 -3.427 0.165 -4.937 0.954" Properties=species:S:1:pos:R:3 pbc="T T T"
K -3.472 -2.575 0.542
Rh -1.799 -0.391 -1.713
Rh 0.083 -2.468 0.477
Rh -1.755 0.285 1.779
In 0.000 0.000 0.000
```

***

<x>
A plane-wave DFT calculation with PBE was carried out for a relaxed KInRh3 crystal.

Cell and atoms, written as extended XYZ:
```
5
Lattice="-3.873 -2.660 -0.792 1.774 -1.327 -4.219 2.135 -3.724 2.069" Properties=species:S:1:pos:R:3 pbc="T T T"
K 0.000 0.000 0.000
Rh 0.887 -0.663 -2.109
Rh 1.067 -1.862 1.034
Rh -1.936 -1.330 -0.396
In 0.018 -3.855 -1.471
```

***

The structure with the greatest stability is <w>.

***

<w>
A plane-wave DFT calculation with PBE was carried out for a relaxed KInSn2Rh crystal.

Cell and atoms, written as extended XYZ:
```
5
Lattice="-1.181 3.804 3.429 -3.053 -3.348 2.664 4.082 -1.383 2.940" Properties=species:S:1:pos:R:3 pbc="T T T"
K -0.076 -0.463 4.516
Rh 0.000 0.000 0.000
Sn -1.526 -1.674 1.332
Sn -0.590 1.902 1.714
In 2.041 -0.691 1.470
```

***

<x>
A plane-wave DFT calculation with PBE was carried out for a relaxed KInSn2Rh crystal.

Cell and atoms, written as extended XYZ:
```
5
Lattice="-3.517 4.358 -1.038 -3.111 -3.311 -3.360 -3.200 -1.520 4.460" Properties=species:S:1:pos:R:3 pbc="T T T"
K 0.000 0.000 0.000
Rh -4.914 -0.236 0.031
Sn -1.600 -0.760 2.230
Sn -1.759 2.179 -0.519
In -1.556 -1.655 -1.680
```

***

The structure with the greatest stability is <w>.

***

<w>
A plane-wave DFT calculation with PBE was carried out for a relaxed K2In2Ru crystal.

Cell and atoms, written as extended XYZ:
```
10
Lattice="-7.000 -7.835 0.139 6.270 -5.488 6.402 -1.347 1.245 2.387" Properties=species:S:1:pos:R:3 pbc="T T T"
Ru 0.000 0.000 0.000
Ru -0.365 -6.662 3.270
K 2.912 -6.806 5.195
K -1.276 -10.122 4.562
K -3.643 -6.517 1.346
K 0.546 -3.202 1.979
In 2.388 -3.468 5.055
In 0.755 -9.020 7.032
In -4.465 -8.610 3.872
In -2.832 -3.058 1.896
```

***

<x>
A plane-wave DFT calculation with PBE was carried out for a relaxed K2In2Ru crystal.

Cell and atoms, written as extended XYZ:
```
10
Lattice="-5.497 4.568 1.137 1.033 -0.535 7.143 3.941 4.795 -0.211" Properties=species:S:1:pos:R:3 pbc="T T T"
Ru 0.000 0.000 0.000
Ru -2.232 2.016 4.140
K 1.719 2.824 4.891
K -0.868 5.024 6.573
K -2.241 6.004 3.179
K 0.346 3.803 1.497
In -0.849 0.966 6.104
In -3.713 3.310 5.874
In -3.615 3.067 2.176
In -0.751 0.723 2.406
```

***

<y>
A plane-wave DFT calculation with PBE was carried out for a relaxed K2In2Ru crystal.

Cell and atoms, written as extended XYZ:
```
5
Lattice="4.131 0.000 0.000 0.000 4.131 0.000 2.066 2.066 10.850" Properties=species:S:1:pos:R:3 pbc="T T T"
Ru 0.000 0.000 0.000
K 2.066 2.066 2.049
K 4.131 4.131 8.801
In 4.131 2.066 5.425
In 2.066 4.131 5.425
```

***

The structure with the greatest stability is <x>.

***

<w>
'''
Now that he thought about it, though, the association made an oddly large amount of sense. The sound had been strong and confident, but gentle at the same time - strong enough to travel all the way from Celestial Tower to the air field. Strong enough to reach him, almost as if it had been meant for him to hear. N suddenly very much wanted the bell's mysterious ringer to be Touya, and he almost smacked himself for thinking two highly irrational thoughts in a row.
Then N realized that he'd been camping out in front of the gym for close to two hours, was thoroughly drenched, and was now blushing, all of which were ridiculous and needed to stop right now.
Standing up, N silenced the part of himself that wanted to stay and wait for Touya, instead opting to take shelter in Mistralton's cargo service building. He'd be able to dry off, and, if Touya should come by after all, N would be able to spot him.
Though he was expecting the wait to be boring, N soon found he had a great deal to think about.
A/N: I'd had this idea floating around for while before I actually got around to writing it. My main motivation for writing it was a crushing sense of boredom I had one night, which was pretty much the best motivator I could've asked for.
I don't actually know how long the bell rings for, so I just took my best guess.
Writing from N's POV was really fun and easier than I thought it'd be.